Exercise:
Next, echo all of the material underneath without altering anything.

File:
-- begin --
# 1
{
  "formula": "Sc2SeCl2",
  "functional": "PBE-GGA",
  "state": "optimized geometry",
  "lattice": [[7.871, 0.000, 0.000], [0.000, 7.871, 0.000], [0.000, 0.000, 3.157]],
  "species": ["Sc", "Sc", "Sc", "Sc", "Se", "Se", "Cl", "Cl", "Cl", "Cl"],
  "fractional_positions": [[0.178, 0.322, 0.000], [0.322, 0.822, 0.000], [0.678, 0.178, 0.000], [0.822, 0.678, 0.000], [0.000, 0.000, 0.500], [0.500, 0.500, 0.500], [0.125, 0.625, 0.500], [0.375, 0.125, 0.500], [0.625, 0.875, 0.500], [0.875, 0.375, 0.500]],
  "dft_energy_ha_per_atom": -0.183,
  "n_ef_per_ev_cell": 10.50,
  "e_form_raw_ev_per_atom": -0.999,
  "sg": "P4/mbm, No. 127"
}

# 2
{
  "formula": "Np2AlNi3Ge4",
  "functional": "PBE-GGA",
  "state": "optimized geometry",
  "lattice": [[4.061, 0.000, 0.000], [0.000, 4.061, 0.000], [0.000, 0.000, 10.160]],
  "species": ["Np", "Np", "Al", "Ni", "Ni", "Ni", "Ge", "Ge", "Ge", "Ge"],
  "fractional_positions": [[0.000, 0.500, 0.241], [0.500, 0.000, 0.759], [0.000, 0.000, 0.500], [0.000, 0.500, 0.877], [0.500, 0.000, 0.123], [0.500, 0.500, 0.500], [0.000, 0.000, 0.000], [0.000, 0.500, 0.648], [0.500, 0.000, 0.352], [0.500, 0.500, 0.000]],
  "dft_energy_ha_per_atom": -0.253,
  "formation_enthalpy_0k_ev_per_atom": -0.35,
  "n_ef_per_ev_cell": 19.19,
  "sg": "P-4m2, No. 115"
}

# 3
{
  "formula": "MnSbRh2",
  "functional": "PBE-GGA",
  "state": "optimized geometry",
  "lattice": [[4.672, -1.613, 0.000], [4.672, 1.613, 0.000], [-1.180, 0.000, 4.271]],
  "species": ["Mn", "Sb", "Rh", "Rh"],
  "fractional_positions": [[0.000, 0.000, 0.000], [0.244, 0.244, 0.633], [0.506, 0.506, 0.498], [0.737, 0.737, 0.119]],
  "dft_energy_ha_per_atom": -0.265,
  "n_ef_per_ev_cell": 2.79,
  "e_form_raw_ev_per_atom": -0.226,
  "sg": "Cm, No. 8"
}


i:
Below is a relaxed structure of Mg2TlAs, with properties calculated at the GGA-PBE level.

Results
D(E_F)   1.752 states/eV/cell
Symmetry   R3m (160)
Magnetic moment   0.0 μB/f.u.

a b c (Å): 10.4334 10.4334 10.4334
angles (deg): 18.02 18.02 18.02
Sites, in units of the cell vectors:
Tl: 0.5013 0.5013 0.5013
Mg: 0.2539 0.2539 0.2539
Mg: 0.0051 0.0051 0.0051
As: 0.7397 0.7397 0.7397

***

ii:
Below is a relaxed structure of Mg2TlAs, with properties calculated at the GGA-PBE level.

Results
D(E_F)   3.357 states/eV/cell
Symmetry   I-42d (122)
Magnetic moment   0.0 μB/f.u.

a b c (Å): 7.7355 7.7355 6.4433
angles (deg): 53.11 53.11 90.00
Sites, in units of the cell vectors:
Mg: 0.8750 0.8209 0.7500
Mg: 0.1791 0.6250 0.2500
Mg: 0.5709 0.1250 0.2500
Mg: 0.3750 0.4291 0.7500
As: 0.5000 0.5000 0.0000
As: 0.2500 0.7500 0.5000
Tl: 0.7500 0.2500 0.5000
Tl: 0.0000 0.0000 0.0000

***

Of them, the most stable is ii and the least stable is i.

***

i:
Below is a relaxed structure of Mg2Tl2As, with properties calculated at the GGA-PBE level.

Results
D(E_F)   4.683 states/eV/cell
Symmetry   P4/mbm (127)
Magnetic moment   0.0 μB/f.u.

a b c (Å): 7.7169 7.7169 4.2413
angles (deg): 90.00 90.00 90.00
Sites, in units of the cell vectors:
Tl: 0.8545 0.6455 0.0000
Tl: 0.6455 0.1455 0.0000
Tl: 0.1455 0.3545 0.0000
Tl: 0.3545 0.8545 0.0000
Mg: 0.8391 0.3391 0.5000
Mg: 0.1609 0.6609 0.5000
Mg: 0.6609 0.8391 0.5000
Mg: 0.3391 0.1609 0.5000
As: 0.5000 0.5000 0.0000
As: 0.0000 0.0000 0.0000

***

ii:
Below is a relaxed structure of Mg2Tl2As, with properties calculated at the GGA-PBE level.

Results
D(E_F)   4.928 states/eV/cell
Symmetry   P4/mbm (127)
Magnetic moment   0.0 μB/f.u.

a b c (Å): 7.0581 7.0581 5.1435
angles (deg): 90.00 90.00 90.00
Sites, in units of the cell vectors:
Tl: 0.3357 0.1643 0.5000
Tl: 0.8357 0.3357 0.5000
Tl: 0.1643 0.6643 0.5000
Tl: 0.6643 0.8357 0.5000
Mg: 0.3477 0.8477 0.0000
Mg: 0.6523 0.1523 0.0000
Mg: 0.8477 0.6523 0.0000
Mg: 0.1523 0.3477 0.0000
As: 0.5000 0.5000 0.0000
As: 0.0000 0.0000 0.0000

***

Of them, the most stable is ii and the least stable is i.

***

i:
Below is a relaxed structure of MgV2As2, with properties calculated at the GGA-PBE level.

Results
D(E_F)   2.823 states/eV/cell
-- stop --

Reply:
# 1
{
  "formula": "Sc2SeCl2",
  "functional": "PBE-GGA",
  "state": "optimized geometry",
  "lattice": [[7.871, 0.000, 0.000], [0.000, 7.871, 0.000], [0.000, 0.000, 3.157]],
  "species": ["Sc", "Sc", "Sc", "Sc", "Se", "Se", "Cl", "Cl", "Cl", "Cl"],
  "fractional_positions": [[0.178, 0.322, 0.000], [0.322, 0.822, 0.000], [0.678, 0.178, 0.000], [0.822, 0.678, 0.000], [0.000, 0.000, 0.500], [0.500, 0.500, 0.500], [0.125, 0.625, 0.500], [0.375, 0.125, 0.500], [0.625, 0.875, 0.500], [0.875, 0.375, 0.500]],
  "dft_energy_ha_per_atom": -0.183,
  "n_ef_per_ev_cell": 10.50,
  "e_form_raw_ev_per_atom": -0.999,
  "sg": "P4/mbm, No. 127"
}

# 2
{
  "formula": "Np2AlNi3Ge4",
  "functional": "PBE-GGA",
  "state": "optimized geometry",
  "lattice": [[4.061, 0.000, 0.000], [0.000, 4.061, 0.000], [0.000, 0.000, 10.160]],
  "species": ["Np", "Np", "Al", "Ni", "Ni", "Ni", "Ge", "Ge", "Ge", "Ge"],
  "fractional_positions": [[0.000, 0.500, 0.241], [0.500, 0.000, 0.759], [0.000, 0.000, 0.500], [0.000, 0.500, 0.877], [0.500, 0.000, 0.123], [0.500, 0.500, 0.500], [0.000, 0.000, 0.000], [0.000, 0.500, 0.648], [0.500, 0.000, 0.352], [0.500, 0.500, 0.000]],
  "dft_energy_ha_per_atom": -0.253,
  "formation_enthalpy_0k_ev_per_atom": -0.35,
  "n_ef_per_ev_cell": 19.19,
  "sg": "P-4m2, No. 115"
}

# 3
{
  "formula": "MnSbRh2",
  "functional": "PBE-GGA",
  "state": "optimized geometry",
  "lattice": [[4.672, -1.613, 0.000], [4.672, 1.613, 0.000], [-1.180, 0.000, 4.271]],
  "species": ["Mn", "Sb", "Rh", "Rh"],
  "fractional_positions": [[0.000, 0.000, 0.000], [0.244, 0.244, 0.633], [0.506, 0.506, 0.498], [0.737, 0.737, 0.119]],
  "dft_energy_ha_per_atom": -0.265,
  "n_ef_per_ev_cell": 2.79,
  "e_form_raw_ev_per_atom": -0.226,
  "sg": "Cm, No. 8"
}


i:
Below is a relaxed structure of Mg2TlAs, with properties calculated at the GGA-PBE level.

Results
D(E_F)   1.752 states/eV/cell
Symmetry   R3m (160)
Magnetic moment   0.0 μB/f.u.

a b c (Å): 10.4334 10.4334 10.4334
angles (deg): 18.02 18.02 18.02
Sites, in units of the cell vectors:
Tl: 0.5013 0.5013 0.5013
Mg: 0.2539 0.2539 0.2539
Mg: 0.0051 0.0051 0.0051
As: 0.7397 0.7397 0.7397

***

ii:
Below is a relaxed structure of Mg2TlAs, with properties calculated at the GGA-PBE level.

Results
D(E_F)   3.357 states/eV/cell
Symmetry   I-42d (122)
Magnetic moment   0.0 μB/f.u.

a b c (Å): 7.7355 7.7355 6.4433
angles (deg): 53.11 53.11 90.00
Sites, in units of the cell vectors:
Mg: 0.8750 0.8209 0.7500
Mg: 0.1791 0.6250 0.2500
Mg: 0.5709 0.1250 0.2500
Mg: 0.3750 0.4291 0.7500
As: 0.5000 0.5000 0.0000
As: 0.2500 0.7500 0.5000
Tl: 0.7500 0.2500 0.5000
Tl: 0.0000 0.0000 0.0000

***

Of them, the most stable is ii and the least stable is i.

***

i:
Below is a relaxed structure of Mg2Tl2As, with properties calculated at the GGA-PBE level.

Results
D(E_F)   4.683 states/eV/cell
Symmetry   P4/mbm (127)
Magnetic moment   0.0 μB/f.u.

a b c (Å): 7.7169 7.7169 4.2413
angles (deg): 90.00 90.00 90.00
Sites, in units of the cell vectors:
Tl: 0.8545 0.6455 0.0000
Tl: 0.6455 0.1455 0.0000
Tl: 0.1455 0.3545 0.0000
Tl: 0.3545 0.8545 0.0000
Mg: 0.8391 0.3391 0.5000
Mg: 0.1609 0.6609 0.5000
Mg: 0.6609 0.8391 0.5000
Mg: 0.3391 0.1609 0.5000
As: 0.5000 0.5000 0.0000
As: 0.0000 0.0000 0.0000

***

ii:
Below is a relaxed structure of Mg2Tl2As, with properties calculated at the GGA-PBE level.

Results
D(E_F)   4.928 states/eV/cell
Symmetry   P4/mbm (127)
Magnetic moment   0.0 μB/f.u.

a b c (Å): 7.0581 7.0581 5.1435
angles (deg): 90.00 90.00 90.00
Sites, in units of the cell vectors:
Tl: 0.3357 0.1643 0.5000
Tl: 0.8357 0.3357 0.5000
Tl: 0.1643 0.6643 0.5000
Tl: 0.6643 0.8357 0.5000
Mg: 0.3477 0.8477 0.0000
Mg: 0.6523 0.1523 0.0000
Mg: 0.8477 0.6523 0.0000
Mg: 0.1523 0.3477 0.0000
As: 0.5000 0.5000 0.0000
As: 0.0000 0.0000 0.0000

***

Of them, the most stable is ii and the least stable is i.

***

i:
Below is a relaxed structure of MgV2As2, with properties calculated at the GGA-PBE level.

Results
D(E_F)   2.823 states/eV/cell